Activity:
Could you retype the listing further below from the line with "0.642 0.306" to the end character by character?

Excerpt:
- - -
DFT (PBE) results for crystalline Na2Nb8Si9S3O48 at its relaxed geometry.

Properties
Space group   No. 1
Calculated formation energy   -2.87 eV/atom
Energy   -1650.62 eV per cell

a = 8.915 Å, b = 15.481 Å, c = 23.048 Å
α = 89.95°, β = 89.98°, γ = 89.94°
Positions (direct):
Na 0.000 0.000 0.000
Na 0.001 0.003 0.502
Na 0.493 0.503 0.997
Na 0.495 0.500 0.505
Na 0.497 0.835 0.835
Na 0.997 0.333 0.338
Nb 0.000 0.997 0.153
Nb 0.005 0.001 0.354
Nb 0.006 0.328 0.478
Nb 0.007 0.675 0.030
Nb 0.486 0.174 0.531
Nb 0.486 0.829 0.976
Nb 0.487 0.501 0.853
Nb 0.488 0.496 0.363
Nb 0.493 0.176 0.308
Nb 0.493 0.496 0.140
Nb 0.493 0.498 0.653
Nb 0.497 0.831 0.192
Nb 0.498 0.840 0.478
Nb 0.502 0.171 0.019
Nb 0.505 0.169 0.814
Nb 0.507 0.841 0.694
Nb 0.988 0.996 0.643
Nb 0.992 0.671 0.522
Nb 0.993 0.334 0.190
Nb 0.995 0.340 0.976
Nb 0.995 0.674 0.318
Nb 0.995 0.994 0.861
Nb 0.997 0.329 0.693
Nb 0.999 0.677 0.807
Si 0.131 0.525 0.419
Si 0.133 0.477 0.084
Si 0.140 0.815 0.420
Si 0.144 0.862 0.751
Si 0.202 0.501 0.752
Si 0.213 0.841 0.086
Si 0.216 0.164 0.419
Si 0.278 0.664 0.918
Si 0.281 0.341 0.586
Si 0.290 0.001 0.252
Si 0.350 0.362 0.251
Si 0.354 0.026 0.919
Si 0.354 0.977 0.586
Si 0.355 0.313 0.917
Si 0.639 0.645 0.752
Si 0.640 0.693 0.085
Si 0.641 0.356 0.754
Si 0.642 0.306 0.420
Si 0.707 0.669 0.419
Si 0.712 0.330 0.084
Si 0.714 0.005 0.752
Si 0.780 0.831 0.585
Si 0.788 0.168 0.918
Si 0.851 0.856 0.254
Si 0.852 0.807 0.920
Si 0.853 0.145 0.252
Si 0.854 0.192 0.585
S 0.139 0.191 0.085
S 0.141 0.143 0.752
S 0.353 0.643 0.252
S 0.354 0.691 0.585
S 0.640 0.979 0.085
S 0.641 0.027 0.419
S 0.783 0.503 0.252
S 0.852 0.527 0.919
S 0.854 0.478 0.585
O 0.061 0.908 0.412
O 0.062 0.572 0.075
O 0.063 0.429 0.426
O 0.063 0.765 0.475
O 0.065 0.768 0.759
O 0.066 0.571 0.360
O 0.067 0.428 0.142
O 0.067 0.908 0.695
O 0.069 0.104 0.092
O 0.071 0.106 0.804
O 0.071 0.231 0.033
O 0.071 0.231 0.745
O 0.099 0.082 0.411
O 0.100 0.925 0.092
O 0.101 0.585 0.764
O 0.103 0.416 0.739
O 0.107 0.251 0.425
O 0.108 0.755 0.078
O 0.109 0.585 0.476
O 0.109 0.752 0.362
O 0.110 0.415 0.029
O 0.111 0.244 0.138
O 0.113 0.921 0.809
O 0.114 0.092 0.699
O 0.169 0.349 0.243
O 0.172 0.016 0.911
O 0.173 0.326 0.642
O 0.173 0.680 0.862
O 0.173 0.990 0.594
O 0.175 0.322 0.931
O 0.176 0.353 0.528
O 0.176 0.652 0.977
O 0.178 0.016 0.196
O 0.179 0.984 0.308
O 0.189 0.681 0.576
O 0.190 0.653 0.259
O 0.303 0.155 0.759
O 0.303 0.182 0.079
O 0.313 0.483 0.808
O 0.315 0.517 0.696
O 0.317 0.152 0.476
O 0.317 0.489 0.094
O 0.317 0.853 0.028
O 0.318 0.516 0.411
O 0.319 0.180 0.361
O 0.319 0.821 0.430
O 0.320 0.825 0.142
O 0.323 0.847 0.743
O 0.378 0.743 0.637
O 0.383 0.251 0.862
O 0.383 0.591 0.200
O 0.384 0.254 0.578
O 0.384 0.916 0.528
O 0.385 0.085 0.977
O 0.385 0.751 0.925
O 0.386 0.422 0.308
O 0.391 0.916 0.239
O 0.392 0.085 0.264
O 0.393 0.425 0.592
O 0.394 0.582 0.912
O 0.421 0.731 0.245
O 0.421 0.731 0.532
O 0.423 0.603 0.590
O 0.423 0.605 0.304
O 0.426 0.268 0.259
O 0.428 0.071 0.862
O 0.428 0.410 0.196
O 0.428 0.928 0.642
O 0.429 0.265 0.976
O 0.429 0.930 0.928
O 0.432 0.071 0.574
O 0.432 0.408 0.912
O 0.560 0.738 0.029
O 0.561 0.598 0.809
O 0.562 0.263 0.763
O 0.562 0.265 0.476
O 0.562 0.739 0.743
O 0.563 0.404 0.696
O 0.564 0.597 0.098
O 0.567 0.406 0.409
O 0.571 0.065 0.079
O 0.572 0.937 0.426
O 0.574 0.063 0.366
O 0.576 0.939 0.138
O 0.602 0.086 0.762
O 0.602 0.248 0.076
O 0.603 0.583 0.407
O 0.603 0.752 0.431
O 0.607 0.419 0.094
O 0.607 0.584 0.694
O 0.607 0.752 0.142
O 0.609 0.917 0.746
O 0.610 0.420 0.809
O 0.611 0.251 0.361
O 0.616 0.077 0.471
O 0.617 0.925 0.033
O 0.672 0.824 0.929
O 0.673 0.847 0.529
O 0.674 0.847 0.240
O 0.675 0.154 0.263
O 0.676 0.180 0.572
O 0.677 0.818 0.642
O 0.678 0.152 0.975
O 0.680 0.185 0.862
O 0.687 0.490 0.591
O 0.687 0.513 0.914
O 0.689 0.488 0.304
O 0.692 0.515 0.199
O 0.806 0.013 0.413
O 0.807 0.989 0.092
O 0.816 0.651 0.475
O 0.816 0.683 0.362
O 0.817 0.320 0.143
O 0.817 0.678 0.073
O 0.818 0.017 0.695
O 0.818 0.653 0.764
O 0.819 0.348 0.740
- - -

Result:
Si 0.642 0.306 0.420
Si 0.707 0.669 0.419
Si 0.712 0.330 0.084
Si 0.714 0.005 0.752
Si 0.780 0.831 0.585
Si 0.788 0.168 0.918
Si 0.851 0.856 0.254
Si 0.852 0.807 0.920
Si 0.853 0.145 0.252
Si 0.854 0.192 0.585
S 0.139 0.191 0.085
S 0.141 0.143 0.752
S 0.353 0.643 0.252
S 0.354 0.691 0.585
S 0.640 0.979 0.085
S 0.641 0.027 0.419
S 0.783 0.503 0.252
S 0.852 0.527 0.919
S 0.854 0.478 0.585
O 0.061 0.908 0.412
O 0.062 0.572 0.075
O 0.063 0.429 0.426
O 0.063 0.765 0.475
O 0.065 0.768 0.759
O 0.066 0.571 0.360
O 0.067 0.428 0.142
O 0.067 0.908 0.695
O 0.069 0.104 0.092
O 0.071 0.106 0.804
O 0.071 0.231 0.033
O 0.071 0.231 0.745
O 0.099 0.082 0.411
O 0.100 0.925 0.092
O 0.101 0.585 0.764
O 0.103 0.416 0.739
O 0.107 0.251 0.425
O 0.108 0.755 0.078
O 0.109 0.585 0.476
O 0.109 0.752 0.362
O 0.110 0.415 0.029
O 0.111 0.244 0.138
O 0.113 0.921 0.809
O 0.114 0.092 0.699
O 0.169 0.349 0.243
O 0.172 0.016 0.911
O 0.173 0.326 0.642
O 0.173 0.680 0.862
O 0.173 0.990 0.594
O 0.175 0.322 0.931
O 0.176 0.353 0.528
O 0.176 0.652 0.977
O 0.178 0.016 0.196
O 0.179 0.984 0.308
O 0.189 0.681 0.576
O 0.190 0.653 0.259
O 0.303 0.155 0.759
O 0.303 0.182 0.079
O 0.313 0.483 0.808
O 0.315 0.517 0.696
O 0.317 0.152 0.476
O 0.317 0.489 0.094
O 0.317 0.853 0.028
O 0.318 0.516 0.411
O 0.319 0.180 0.361
O 0.319 0.821 0.430
O 0.320 0.825 0.142
O 0.323 0.847 0.743
O 0.378 0.743 0.637
O 0.383 0.251 0.862
O 0.383 0.591 0.200
O 0.384 0.254 0.578
O 0.384 0.916 0.528
O 0.385 0.085 0.977
O 0.385 0.751 0.925
O 0.386 0.422 0.308
O 0.391 0.916 0.239
O 0.392 0.085 0.264
O 0.393 0.425 0.592
O 0.394 0.582 0.912
O 0.421 0.731 0.245
O 0.421 0.731 0.532
O 0.423 0.603 0.590
O 0.423 0.605 0.304
O 0.426 0.268 0.259
O 0.428 0.071 0.862
O 0.428 0.410 0.196
O 0.428 0.928 0.642
O 0.429 0.265 0.976
O 0.429 0.930 0.928
O 0.432 0.071 0.574
O 0.432 0.408 0.912
O 0.560 0.738 0.029
O 0.561 0.598 0.809
O 0.562 0.263 0.763
O 0.562 0.265 0.476
O 0.562 0.739 0.743
O 0.563 0.404 0.696
O 0.564 0.597 0.098
O 0.567 0.406 0.409
O 0.571 0.065 0.079
O 0.572 0.937 0.426
O 0.574 0.063 0.366
O 0.576 0.939 0.138
O 0.602 0.086 0.762
O 0.602 0.248 0.076
O 0.603 0.583 0.407
O 0.603 0.752 0.431
O 0.607 0.419 0.094
O 0.607 0.584 0.694
O 0.607 0.752 0.142
O 0.609 0.917 0.746
O 0.610 0.420 0.809
O 0.611 0.251 0.361
O 0.616 0.077 0.471
O 0.617 0.925 0.033
O 0.672 0.824 0.929
O 0.673 0.847 0.529
O 0.674 0.847 0.240
O 0.675 0.154 0.263
O 0.676 0.180 0.572
O 0.677 0.818 0.642
O 0.678 0.152 0.975
O 0.680 0.185 0.862
O 0.687 0.490 0.591
O 0.687 0.513 0.914
O 0.689 0.488 0.304
O 0.692 0.515 0.199
O 0.806 0.013 0.413
O 0.807 0.989 0.092
O 0.816 0.651 0.475
O 0.816 0.683 0.362
O 0.817 0.320 0.143
O 0.817 0.678 0.073
O 0.818 0.017 0.695
O 0.818 0.653 0.764
O 0.819 0.348 0.740